By Matt Durham, DVM Published in Bay Area Equestrian Network September 2007

Without a doubt, one of the most awe-inspiring things about our equine companions is their remarkable athleticism. Their sheer power, grace, and refinement of movement have captivated the imagination of people throughout history. But beyond the sinew and muscle and bone of these intricate machines is a power plant unequalled in any other creature: the equine heart.
'''
(1)
Pm5Si2C | PBE-GGA | relaxed

abc: 5.706 6.863 13.219
angles: 90.00 90.00 114.56
Sites, in units of the cell vectors:
1 Pm 0.945 0.890 0.876
2 Pm 0.945 0.890 0.624
3 Pm 0.336 0.672 0.396
4 Pm 0.336 0.672 0.104
5 Pm 0.702 0.404 0.250
6 Pm 0.298 0.596 0.750
7 Pm 0.664 0.328 0.604
8 Pm 0.664 0.328 0.896
9 Pm 0.055 0.110 0.124
10 Pm 0.055 0.110 0.376
11 Si 0.825 0.651 0.434
12 Si 0.825 0.651 0.066
13 Si 0.175 0.349 0.566
14 Si 0.175 0.349 0.934
15 C 0.798 0.596 0.750
16 C 0.202 0.404 0.250

- spin magnetization (μB/atom) = 0.04
- uncorrected formation energy (meV per atom) = -173
- density (g/cm³) = 5.6
- crystal system = orthorhombic
- raw total energy (eV/atom) = -5.651

=====

(2)
CoCu2Mo | PBE-GGA | relaxed

abc: 4.148 4.148 4.148
angles: 60.00 60.00 60.00
Sites, in units of the cell vectors:
1 Co 0.500 0.500 0.500
2 Cu 0.000 0.000 0.000
3 Cu 0.750 0.750 0.750
4 Mo 0.250 0.250 0.250

- spin magnetization (μB/atom) = 0.22
- density (g/cm³) = 9.3
- crystal system = cubic
- calculated formation energy (eV/atom) = 0.26
- raw total energy (eV/atom) = -6.275

=====

(3)
PmIrRhO6 | PBE-GGA | relaxed

abc: 5.452 5.452 8.493
angles: 90.00 90.00 120.00
Sites, in units of the cell vectors:
1 Pm 0.333 0.667 0.250
2 Pm 0.667 0.333 0.750
3 Ir 0.667 0.333 0.250
4 Ir 0.333 0.667 0.750
5 Rh 0.000 0.000 0.000
6 Rh 0.000 0.000 0.500
7 O 0.691 0.646 0.117
8 O 0.955 0.309 0.117
9 O 0.309 0.955 0.617
10 O 0.045 0.691 0.883
11 O 0.354 0.309 0.383
12 O 0.955 0.646 0.383
13 O 0.646 0.955 0.883
14 O 0.691 0.045 0.383
15 O 0.045 0.354 0.617
16 O 0.354 0.045 0.117
17 O 0.646 0.691 0.617
18 O 0.309 0.354 0.883

- spin magnetization (μB/atom) = 0.22
- uncorrected formation energy (meV per atom) = -1256
- density (g/cm³) = 8.1
- crystal system = trigonal
- raw total energy (eV/atom) = -6.891

=====

(4)
Tl2SnPd7 | PBE-GGA | relaxed

abc: 3.057 9.341 9.341
angles: 130.18 90.00 90.00
Sites, in units of the cell vectors:
1 Tl 0.500 0.674 0.326
2 Tl 0.500 0.326 0.674
3 Sn 0.000 0.000 0.000
4 Pd 0.000 0.810 0.190
5 Pd 0.000 0.190 0.810
6 Pd 0.500 0.114 0.291
7 Pd 0.500 0.886 0.709
8 Pd 0.500 0.291 0.114
9 Pd 0.500 0.709 0.886
10 Pd 0.500 0.500 0.500

- spin magnetization (μB/atom) = 0.00
- density (g/cm³) = 10.4
- crystal system = orthorhombic
- calculated formation energy (eV/atom) = 0.01
- raw total energy (eV/atom) = -4.494

=====

(5)
AcDy2Ni | PBE-GGA | relaxed

abc: 3.829 3.829 10.663
angles: 79.66 79.66 60.00
Sites, in units of the cell vectors:
1 Ni 0.500 0.500 0.500
2 Ac 0.000 0.000 0.000
3 Dy 0.118 0.118 0.645
4 Dy 0.882 0.882 0.355

- spin magnetization (μB/atom) = 0.00
- density (g/cm³) = 7.7
- crystal system = trigonal
- calculated formation energy (eV/atom) = 0.03
- raw total energy (eV/atom) = -4.746

=====

(6)
Na2CdAg2 | PBE-GGA | relaxed

abc: 5.727 5.727 8.809
angles: 76.67 76.67 61.62
Sites, in units of the cell vectors:
'''
In some ways, the job of the heart is really quite simple: it is mainly just a pump. Blood must be moved from one area of the body to another. What makes the equine heart so remarkable is its adaptability and efficiency in doing this job under different conditions.
The Role of Blood
Blood must circulate throughout the body for many reasons. The most obvious is the delivery of oxygen (O2) from the lungs to the tissues, and carbon dioxide (CO2) back from the tissues to the lungs. Blood also transports nutrients and by-products to and from the intestines and other internal organs.
Additionally, blood works in the same way that radiator fluid works in a car, carrying heat away from the power source to an area of cooling. Muscles (like a car engine) convert fuel into movement. The car engine and muscle both produce waste heat which must be removed to prevent overheating of the system. The main radiator in the horse is the skin, followed by the lungs.
A Smart Pump
The equine heart has many ways of adapting to differing demands. Cardiac output is the measure of blood pumped per minute. Cardiac output is calculated by multiplying the heart rate by the amount of blood pumped with each beat, termed stroke volume. Stroke volume is close to one quart of blood per heartbeat. So, a horse with a heart rate of 40 beats per minute pumps 40 quarts of blood (10 gallons) every minute.
The average resting heart rate in an athletic horse is typically between 32-40 beats per minute, while maximum heart rate at a full gallop can exceed 240 beats per minute. In humans, the typical athlete has a resting rate in the 50-60 beats per minute range, with a maximum heart rate of about 220. Besides increasing the rate, the heart muscle increases the amount of contraction (increasing the stroke volume) when requirements increase, pumping out the maximum volume possible.
Obviously, a lower cardiac output is required at rest than at maximum exercise levels. The heart limits the amount of energy expended in three main ways. First, the heart rate is decreased. Second, the amount of contraction of the heart muscle is decreased, pumping out only part of the volume of blood in the heart, (decreasing stroke volume). Third, the heart can skip a beat allowing the heart to rest. This change in heart rhythm is called 2nd degree AV block, which is normal in horses, and is occasionally seen in human athletes.
Racing Arabians, Thoroughbreds, and Quarter Horses
A critical difference exists between horses of different disciplines in terms of cardiac requirements. Compare the Arabian, Thoroughbred and Quarter Horse to Olympic marathon, middle distance runners and sprinters. From one group to the next, we see a shift from extreme endurance to prolonged strength to raw power.
Records of crystals that have nothing to do with the page:
- - -
Material: CaSmGaPt
Method: DFT, PBE-GGA
State: relaxed

Lattice parameters (Å, degrees): 5.073 5.073 5.073 60.00 60.00 60.00
Positions (direct):
1 Ca 0.000 0.000 0.000
2 Sm 0.500 0.500 0.500
3 Ga 0.250 0.250 0.250
4 Pt 0.750 0.750 0.750

Computed properties:
The crystal system is cubic. For the total magnetization, the calculation gives 0.00 μB per cell. As for the calculated formation energy: -3.0 eV per formula unit. The relative energy among the computed polymorphs comes out at 6.2 kJ per mole of atoms. As for the space group: F-43m. The electronic total energy comes out at -18.74 eV for the cell shown.


Material: Ca2SmGa3Pt4
Method: DFT, PBE-GGA
State: relaxed

Lattice parameters (Å, degrees): 4.255 4.255 11.540 90.00 90.00 90.00
Positions (direct):
1 Ca 0.000 0.500 0.226
2 Ca 0.500 0.000 0.774
3 Sm 0.000 0.000 0.500
4 Ga 0.000 0.500 0.876
5 Ga 0.500 0.000 0.124
6 Ga 0.500 0.500 0.500
7 Pt 0.000 0.000 0.000
8 Pt 0.000 0.500 0.660
9 Pt 0.500 0.000 0.340
10 Pt 0.500 0.500 0.000

Computed properties:
The crystal system is tetragonal. For the total magnetization, the calculation gives 0.00 μB per cell. As for the calculated formation energy: -8.8 eV per formula unit. As for the space group: P-4m2. The electronic total energy comes out at -50.72 eV for the cell shown.


Material: Ca2Ga3SnPt4
Method: DFT, PBE-GGA
State: relaxed

Lattice parameters (Å, degrees): 4.230 4.230 11.108 90.00 90.00 90.00
Positions (direct):
1 Ca 0.000 0.500 0.244
2 Ca 0.500 0.000 0.756
3 Ga 0.000 0.500 0.870
4 Ga 0.500 0.000 0.130
5 Ga 0.500 0.500 0.500
6 Sn 0.000 0.000 0.500
7 Pt 0.000 0.000 0.000
8 Pt 0.000 0.500 0.647
9 Pt 0.500 0.000 0.353
10 Pt 0.500 0.500 0.000

Computed properties:
The crystal system is tetragonal. For the total magnetization, the calculation gives 0.00 μB per cell. As for the calculated formation energy: -8.3 eV per formula unit. As for the space group: P-4m2. The electronic total energy comes out at -49.55 eV for the cell shown.

~~~~~

1.
The following is a DFT calculation (GGA-PBE) of LiZn3Rh after structural relaxation.

Lattice parameters (Å, degrees): 4.065 4.048 8.709 90.00 103.23 90.00
Positions (direct):
Li1 0.156 0.250 0.310
Li2 0.844 0.750 0.690
Zn1 0.056 0.750 0.109
Zn2 0.248 0.750 0.501
Zn3 0.446 0.750 0.895
Zn4 0.554 0.250 0.105
Zn5 0.752 0.250 0.499
Zn6 0.944 0.250 0.891
Rh1 0.350 0.250 0.699
Rh2 0.650 0.750 0.301

For the formation energy from the elements, the calculation gives -326 meV per atom. The calculated total energy comes out at -2.943 eV per atom.

2.
The following is a DFT calculation (GGA-PBE) of CaAcTlSb after structural relaxation.

Lattice parameters (Å, degrees): 5.672 5.672 5.672 60.00 60.00 60.00
Positions (direct):
Ca1 0.000 0.000 0.000
Ac1 0.500 0.500 0.500
Tl1 0.250 0.250 0.250
Sb1 0.750 0.750 0.750

The calculated total energy comes out at -3.728 eV per atom. The value obtained for the energy relative to the elements, uncorrected is -577.9 meV/atom.

3.
- - -
The page goes on:

The difference in these groups comes from the difference in muscle type. The ‘slow twitch’ or Type I muscle fiber produces less power, but can continue to work for extended periods.
The Arabian horse has primarily Type I fibers, which can utilize fat and sugars in the presence of oxygen for sustained moderately fast-paced aerobic exercise. Below about 140 beats per minute, most endurance horses can deliver all the oxygen their bodies require. Above this heart rate, termed the lactate threshold, the horse’s muscle must start exercising anaerobically. Anaerobic exercise uses faster-produced and shorter-lived fuel from sugars, and produces lactate. Excessive lactate production can lead to fatigue and even muscle damage. An endurance horse exercising below its individual lactate threshold will recover rapidly and be able to sustain for the longer distances because it is exercising aerobically.
The Thoroughbred racehorse has a mixture of Type I and Type IIa or ‘intermediate twitch’ fibers. Type IIa fibers produce more power than Type I fibers, and rely on sugars for fuel. The larger more efficient hearts of Thoroughbreds allow for the type IIa fibers to use oxygen at a high rate for a longer period of time. The more efficient the heart, the more aerobic use of sugars can be maintained, pushing off fatigue.
The Quarter Horse has mostly type IIb or ‘fast twitch’ fibers. Type IIb fibers produce the most power, but rely on unsustainable anaerobic exercise. A sprinting Quarter Horse can accelerate more rapidly than any other horse, with speeds clocked at around 50 miles per hour. But this maximum rate can not be sustained beyond a half mile. Because the racing Quarter Horse relies on anaerobic exercise during this sprint, heart size is not as large as in Thoroughbreds.
The Sedentary Steer, the Cross-Country Skier, and the Racehorse
In an interesting study, the horse was compared to the steer to show differences in ability to sustain exercise. Among the striking differences were vast differences in lung capacity and heart size. Comparing animals of the same weight, researchers found the lung and heart volumes to be twice as large in the horse.
Researchers use the term VO2max to measure the oxygen carrying potential in different individuals on a per weight basis. An elite cross-country skier had the highest measured VO2max in a human of about 96mL/kg/min, while measurements almost twice as high may be reached in the Thoroughbred racehorse. In cattle, VO2max is more in the 30-40mL/kg/min range.
As in humans, the ability of the heart to function efficiently relies on exercise. Increasing the strength of heart muscle improves the stroke volume, which allows the heart rate to decrease at rest.
Heart Size

Of all equine athletes, Thoroughbred racehorses have the largest and most efficient hearts. Part of this is genetic, and part is from their rigorous training. Typical heart weights are in the 10-12 pound range. Phar Lap, the famous New Zealand-born racehorse, had a heart that weighed 14 pounds. The heart of Secretariat was believed to be even larger. (The autopsy performed on Secretariat was incomplete, so some have suggested that some of the enlargement could have been from common age-related heart problems.)
The size of the Thoroughbred heart has been watched closely, and is believed to be influenced most by the X chromosome. The ‘X-factor’ is a horse-picking system based on this, which contends that heart size can be predicted genetically, and that larger heart size means better performance. While heart size is an important factor in performance, other factors are obviously critical as well, so relying on the ‘X-factor’ alone is dubious.
Size also can increase with disease. Hearts which become overly enlarged are actually less efficient, whether in humans or horses. It is common for older horses to have leaky valves, which can eventually lead to congestive heart failure, where the heart enlarges well beyond that of the fittest racehorse. (This topic is discussed further in The Equine Heart Part 2: Common Cardiac Disease.)